It remains to copy the data further below word for word.

........
Record 1
An optimized crystal structure of NaCo2Sn2. Source: the Alexandria database, functional PBEsol.

Results
Energy relative to the elements, eV per atom: 0.166

Cell lengths 4.464, 4.464, 9.247 Å; angles 90.00, 90.00, 90.00 degrees
Space group I4/mmm (No. 139)
Symmetry-distinct sites (fractional):
Na: 0.000 0.000 0.000 [2 per cell]
Co: 0.000 0.000 0.385 [4 per cell]
Sn: 0.000 0.500 0.250 [4 per cell]

---

Record 2
An optimized crystal structure of Na3CoSn. Source: the Alexandria database, functional PBEsol.

Results
Energy relative to the elements, eV per atom: 1.052
........

Record 1
An optimized crystal structure of NaCo2Sn2. Source: the Alexandria database, functional PBEsol.

Results
Energy relative to the elements, eV per atom: 0.166

Cell lengths 4.464, 4.464, 9.247 Å; angles 90.00, 90.00, 90.00 degrees
Space group I4/mmm (No. 139)
Symmetry-distinct sites (fractional):
Na: 0.000 0.000 0.000 [2 per cell]
Co: 0.000 0.000 0.385 [4 per cell]
Sn: 0.000 0.500 0.250 [4 per cell]

---

Record 2
An optimized crystal structure of Na3CoSn. Source: the Alexandria database, functional PBEsol.

Results
Energy relative to the elements, eV per atom: 1.052